Anyone getting Novostella Floodlight I reviewed a long time ago had a very short window to take advantage of Tuya-Convert exploit to Tasmotise it. The timing of my post about it couldn’t be worse, the method stopped working 2 weeks later thanks to the firmware update. As I was playing with a much bigger and brighter version of the floodlight – AuroraLux, one of the older panels let me down.
Lucky until now

I was lucky enough to have my Novostella bulbs and floodlights flashed, but I received many messages about others who got the lights too late. What makes all of this even worse, it’s the fact that the floodlight can’t be opened. The glass panel is glued into a cast metal frame. It’s not just weatherproof – it’s bullet and tamper-proof (at least if you want the panel in one piece).
If ain’t broken…
The floodlights were in service ever since, providing extra lights for my thumbnails, videos and review shots. I never really embedded these into my automation, as each shoot was slightly different and Tasmota GUI is pretty easy to work with.
A couple of days ago, I decided to update the Tasmota. These were still on the 6.0 version while the latest Tasmota is now at 10.0. Everything went smooth on my first panel, but the second one failed and got stuck.
Despite my attempts to reset it. The panel is stuck in AP point, unable to load the web GUI. I can’t set new WiFi credentials, I can’t control it via REST – in other words – the panel is useless in the current state. I regret now trying to bring it to the more up to date version.
Can’t Touch This

There is only one way to get inside and flash tasmota from scratch. Get inside. To do this, I have to break the “emergency glass” and see if I can get to the PCB behind the panel. I don’t plan on taking it outside any time soon, so I don’t really care about the glass and the seal behind it.
I will need a big hammer and safety specs. If you are just as insane as me, please take care, the glass shards are deadly!
On the inside

After cleaning up the edges from the adhesive and glass shards, I was able to remove the inner components without cutting my hands in the process. There is still plenty of tiny glass shards inside so don’t take your specs off.
Unfortunately, the main PCB is encased in silicone. This coffin felt pretty solid, therefore I was about to settle for the LED array before chucking the rest away. Fortunately, the silicone is pretty brittle and peeled off rather nicely without damaging the components.

Crystal structures, kept here for reference >
........
No. 1
Cs2LiCdSb: relaxed, PBE.

Properties
* SG: P4/mmm, No. 123
* raw formation energy: -0.189 eV per atom
* M_tot: 0.00 μB/cell

```
Cs2LiCdSb
1.0
6.896 0.000 0.000
0.000 6.896 0.000
0.000 0.000 5.033
Cs Sb Li Cd
2 1 1 1
Direct
0.000 0.500 0.000
0.500 0.000 0.000
0.000 0.000 0.500
0.000 0.000 0.000
0.500 0.500 0.500
```

=====

No. 2
Pr2TlGa: relaxed, PBE.

Properties
* polymorph energy (0 for the lowest one): 0.0000 eV per atom
* SG: P4/mmm, No. 123
* energy relative to the elements: -0.4667 eV/atom
* M_tot: 0.00 μB/cell

```
Pr2TlGa
1.0
-1.285 2.660 2.371
-1.592 -2.684 2.148
6.609 -0.556 4.204
Pr Tl Ga
2 1 1
Direct
0.000 0.000 0.767
0.000 0.000 0.233
0.500 0.500 0.500
0.500 0.500 0.000
```

=====

No. 3
Tl2AsBr: relaxed, PBE.

Properties
* polymorph energy (0 for the lowest one): 0.0745 eV per atom
* SG: P4/mmm, No. 123
* raw formation energy: -0.109 eV per atom
* M_tot: 0.00 μB/cell

```
Tl2AsBr
1.0
3.606 0.005 0.000
-0.004 3.606 0.000
0.000 0.000 8.809
Tl As Br
2 1 1
Direct
0.000 0.000 0.002
0.000 0.000 0.498
0.500 0.500 0.250
0.500 0.500 0.750
```

=====

No. 4
NbBr3O: relaxed, PBE.

Properties
* SG: Pm-3m, No. 221
* raw formation energy: 0.262 eV per atom
* M_tot: 0.00 μB/cell

```
NbBr3O
1.0
5.098 0.000 0.000
0.000 5.098 0.000
0.000 0.000 5.098
Nb O Br
1 1 3
Direct
0.000 0.000 0.000
0.500 0.500 0.500
0.000 0.500 0.000
0.000 0.000 0.500
0.500 0.000 0.000
```

=====

No. 5
KInNCl: relaxed, PBE.

Properties
* polymorph energy (0 for the lowest one): 0.1357 eV per atom
* SG: Pm, No. 6
* raw formation energy: -0.421 eV per atom
* M_tot: 0.00 μB/cell

```
KInNCl
1.0
-1.927 2.355 -2.941
-2.740 0.679 2.339
3.411 5.603 2.369
K In N Cl
1 1 1 1
Direct
0.070 0.000 0.273
0.575 0.500 0.679
0.577 0.000 0.551
0.565 0.500 0.053
```

=====

No. 6
Ce2Zn3CoCu12: relaxed, PBE.

Properties
* SG: R-3m, No. 166
* energy relative to the elements: 0.1902 eV/atom
* M_tot: 1.12 μB/cell

```
Ce2Zn3CoCu12
1.0
-1.736 4.101 8.511
-3.401 -1.801 8.801
2.522 -0.256 9.265
Ce Zn Co Cu
2 3 1 12
Direct
0.653 0.653 0.653
0.347 0.347 0.347
0.500 0.000 0.000
0.000 0.500 0.000
0.000 0.000 0.500
0.000 0.000 0.000
0.420 0.420 0.811
0.930 0.930 0.349
0.349 0.930 0.930
0.811 0.420 0.420
0.930 0.349 0.930
0.420 0.811 0.420
0.580 0.580 0.189
0.070 0.070 0.651
0.651 0.070 0.070
0.189 0.580 0.580
0.070 0.651 0.070
0.580 0.189 0.580
```

=====

No. 7
NdNi2H8: relaxed, PBE.

Properties
* polymorph energy (0 for the lowest one): 0.0000 eV per atom
* SG: Cmmm, No. 65
* M_tot: 0.00 μB/cell

```
NdNi2H8
1.0
-3.772 0.231 -1.848
-1.906 -1.754 3.675
0.313 4.484 -0.073
Nd Ni H
1 2 8
Direct
0.500 0.000 0.000
0.000 0.327 0.673
0.000 0.673 0.327
0.999 0.976 0.698
0.999 0.698 0.976
0.236 0.500 0.500
0.500 0.681 0.319
0.500 0.319 0.681
0.764 0.500 0.500
0.001 0.302 0.024
0.001 0.024 0.302
```

=====

No. 8
NdHoMgSc: relaxed, PBE.

Properties
* polymorph energy (0 for the lowest one): 0.0000 eV per atom
* SG: P4mm, No. 99
* energy relative to the elements: -0.0031 eV/atom
* M_tot: 0.02 μB/cell

```
........
End of the crystal structures >

Hidden inside is the brain of the Novostella Floodlight – ESP8266EX on a TYLC4_IPEX board – a very flashable board. All the headers are nicely exposed, so working with this shouldn’t be a problem. I just need to verify where the GPIO00 is for flash purposes.
According to this schematic, it’s on the back of the board. Not in an ideal place, but I should be able to poke it long enough to put the board into flash mode before Tasmotizing the hell out of it. I’ve linked the cables from my FTD1232 programmer to the TYLC4 board with help from my MiniWare TS80P soldering iron.

FTD1232 | Floodlight (TYCL4) |
TX | RX |
RX | TX |
3.3V or VCC | 3v3 |
3.3V or VCC | EN |
And fused the GPIO00 with the ground on power on. Thanks to Tasmotizer, I flashed the latest tasmota.bin and configured the module WiFi and Module Template.
It was time to reverse the whole process. Remove the soldered wires, reflow the connections to the board to make sure the daughterboard is connected and wrap the missing silicone parts in insulation tape. Until I get a spare piece of acrylic, I will keep this unit open. I need a 79mm by 143mm piece to fit the space.

Final thoughts
The rescue is done, and the panel won’t end up in the landfill. I’m yet to figure out what went wrong but that adventure will make me think twice about updating devices that are hard to fix. After all, if it ain’t broke, don’t fix it – right? Let me know about your cool salvage operations in this Reddit thread.